(Given)
+++
For Ce4SmSe7, a structure optimized by DFT (PBE) gives the theoretical powder diffractogram in this record (copper Kα).
Kinematic intensities with the Lorentz-polarization factor, no thermal factor.

Most intense lines, 2θ from 10° to 90°, low angle first:
| (hkl) | 2θ (°) | intensity |
| --- | --- | --- |
| 2 0 2 | 22.3 | 78 |
| 2 0 -3 | 22.7 | 60 |
| 2 0 3 | 28.8 | 38 |
| 3 1 -1 | 29.1 | 75 |
| 3 1 0 | 29.5 | 43 |
| 3 1 -2 | 30.7 | 100 |
| 3 1 1 | 31.7 | 72 |
| 3 1 -3 | 33.8 | 46 |
| 1 1 -4 | 36.3 | 47 |
| 1 1 4 | 39.1 | 51 |
| 6 0 -4 | 43.8 | 55 |
| 0 2 0 | 44.0 | 59 |

Crystal structure
Lattice parameters (Å, degrees): 13.896 4.113 12.426 90.00 105.00 90.00
Space group Cm (No. 8)
Symmetry-distinct sites (fractional):
Ce (0.000, 0.000, 0.000) [2 per cell]
Ce (0.085, 0.500, 0.384) [2 per cell]
Ce (0.187, 0.000, 0.767) [2 per cell]
Ce (0.386, 0.500, 0.575) [2 per cell]
Sm (0.271, 0.500, 0.153) [2 per cell]
Se (0.045, 0.500, 0.627) [2 per cell]
Se (0.125, 0.500, 0.928) [2 per cell]
Se (0.149, 0.000, 0.226) [2 per cell]
Se (0.227, 0.000, 0.525) [2 per cell]
Se (0.345, 0.500, 0.791) [2 per cell]
Se (0.385, 0.000, 0.077) [2 per cell]
Se (0.426, 0.500, 0.358) [2 per cell]



For Ce4SmSe6, a structure optimized by DFT (PBE) gives the theoretical powder diffractogram in this record (copper Kα).
Kinematic intensities with the Lorentz-polarization factor, no thermal factor.

Most intense lines, 2θ from 10° to 90°, low angle first:
| (hkl) | 2θ (°) | intensity |
| --- | --- | --- |
| 1 1 3 | 23.9 | 31 |
| 3 0 0 | 25.8 | 82 |
| 0 2 4 | 30.4 | 76 |
| 1 3 1 | 31.8 | 100 |
| 3 1 2 | 33.7 | 28 |
| 2 1 4 | 34.0 | 100 |
| 2 2 3 | 35.5 | 98 |
| 1 2 5 | 39.0 | 30 |
| 4 1 0 | 40.0 | 48 |
| 3 2 4 | 45.9 | 55 |
| 3 5 4 | 68.8 | 38 |
| 5 0 8 | 69.5 | 26 |

Crystal structure
Lattice parameters (Å, degrees): 11.9416 11.9416 14.2971 90.00 90.00 120.00
Space group R-3c (No. 167, hexagonal axes)
Symmetry-distinct sites (fractional):
Ce (0.0000, 0.0000, 0.2500) [6 per cell]
Ce (0.0000, 0.3853, 0.2500) [18 per cell]
Sm (0.0000, 0.0000, 0.0000) [6 per cell]
Se (0.0290, 0.2058, 0.3836) [36 per cell]



For Ce2SmSe4, a structure optimized by DFT (PBE) gives the theoretical powder diffractogram in this record (copper Kα).
Kinematic intensities with the Lorentz-polarization factor, no thermal factor.

Most intense lines, 2θ from 10° to 90°, low angle first:
| (hkl) | 2θ (°) | intensity |
| --- | --- | --- |
| 1 0 1 | 13.0 | 26 |
| 2 2 0 | 30.0 | 100 |
| 0 0 4 | 30.4 | 48 |
| 0 4 0 | 42.8 | 19 |
| 4 0 0 | 43.3 | 91 |
| 0 4 4 | 53.4 | 20 |
| 4 0 4 | 53.8 | 19 |
| 4 4 0 | 62.4 | 12 |
| 6 2 0 | 71.1 | 25 |
| 2 2 8 | 71.6 | 16 |
| 2 6 4 | 78.7 | 12 |
| 6 2 4 | 79.3 | 12 |

Crystal structure
Lattice parameters (Å, degrees): 8.376 8.452 11.754 90.00 90.00 90.00
Space group Imma (No. 74)
Symmetry-distinct sites (fractional):
Ce (0.000, 0.000, 0.000) [4 per cell]
Ce (0.250, 0.250, 0.250) [4 per cell]
Sm (0.250, 0.250, 0.750) [4 per cell]
Se (0.000, 0.002, 0.745) [8 per cell]
Se (0.245, 0.250, 0.999) [8 per cell]



For CeSmTl2Se4, a structure optimized by DFT (PBE) gives the theoretical powder diffractogram in this record (copper Kα).
Kinematic intensities with the Lorentz-polarization factor, no thermal factor.

Most intense lines, 2θ from 10° to 90°, low angle first:
| (hkl) | 2θ (°) | intensity |
| --- | --- | --- |
| 0 0 2 | 23.0 | 9 |
| 2 0 0 | 25.0 | 19 |
| 1 1 1 | 28.4 | 100 |
| 2 0 2 | 39.3 | 37 |
| 0 2 0 | 41.9 | 36 |
| 1 1 3 | 46.0 | 6 |
| 3 1 1 | 48.3 | 8 |
| 2 2 -2 | 51.4 | 19 |
| 2 2 2 | 58.8 | 12 |
| 0 2 4 | 64.7 | 14 |
| 4 2 0 | 68.4 | 16 |
| 4 2 -4 | 74.8 | 11 |

Crystal structure
Lattice parameters (Å, degrees): 7.468 4.315 8.130 90.00 107.79 90.00
Space group P2/m (No. 10)
Symmetry-distinct sites (fractional):
Ce (0.000, 0.000, 0.000) [1 per cell]
Sm (0.500, 0.500, 0.000) [1 per cell]
Tl (0.000, 0.500, 0.500) [1 per cell]
Tl (0.500, 0.000, 0.500) [1 per cell]
Se (0.239, 0.500, 0.209) [2 per cell]
Se (0.267, 0.000, 0.792) [2 per cell]
+++
(Activity)
Return all of the listing further above verbatim.
(Response)
For Ce4SmSe7, a structure optimized by DFT (PBE) gives the theoretical powder diffractogram in this record (copper Kα).
Kinematic intensities with the Lorentz-polarization factor, no thermal factor.

Most intense lines, 2θ from 10° to 90°, low angle first:
| (hkl) | 2θ (°) | intensity |
| --- | --- | --- |
| 2 0 2 | 22.3 | 78 |
| 2 0 -3 | 22.7 | 60 |
| 2 0 3 | 28.8 | 38 |
| 3 1 -1 | 29.1 | 75 |
| 3 1 0 | 29.5 | 43 |
| 3 1 -2 | 30.7 | 100 |
| 3 1 1 | 31.7 | 72 |
| 3 1 -3 | 33.8 | 46 |
| 1 1 -4 | 36.3 | 47 |
| 1 1 4 | 39.1 | 51 |
| 6 0 -4 | 43.8 | 55 |
| 0 2 0 | 44.0 | 59 |

Crystal structure
Lattice parameters (Å, degrees): 13.896 4.113 12.426 90.00 105.00 90.00
Space group Cm (No. 8)
Symmetry-distinct sites (fractional):
Ce (0.000, 0.000, 0.000) [2 per cell]
Ce (0.085, 0.500, 0.384) [2 per cell]
Ce (0.187, 0.000, 0.767) [2 per cell]
Ce (0.386, 0.500, 0.575) [2 per cell]
Sm (0.271, 0.500, 0.153) [2 per cell]
Se (0.045, 0.500, 0.627) [2 per cell]
Se (0.125, 0.500, 0.928) [2 per cell]
Se (0.149, 0.000, 0.226) [2 per cell]
Se (0.227, 0.000, 0.525) [2 per cell]
Se (0.345, 0.500, 0.791) [2 per cell]
Se (0.385, 0.000, 0.077) [2 per cell]
Se (0.426, 0.500, 0.358) [2 per cell]



For Ce4SmSe6, a structure optimized by DFT (PBE) gives the theoretical powder diffractogram in this record (copper Kα).
Kinematic intensities with the Lorentz-polarization factor, no thermal factor.

Most intense lines, 2θ from 10° to 90°, low angle first:
| (hkl) | 2θ (°) | intensity |
| --- | --- | --- |
| 1 1 3 | 23.9 | 31 |
| 3 0 0 | 25.8 | 82 |
| 0 2 4 | 30.4 | 76 |
| 1 3 1 | 31.8 | 100 |
| 3 1 2 | 33.7 | 28 |
| 2 1 4 | 34.0 | 100 |
| 2 2 3 | 35.5 | 98 |
| 1 2 5 | 39.0 | 30 |
| 4 1 0 | 40.0 | 48 |
| 3 2 4 | 45.9 | 55 |
| 3 5 4 | 68.8 | 38 |
| 5 0 8 | 69.5 | 26 |

Crystal structure
Lattice parameters (Å, degrees): 11.9416 11.9416 14.2971 90.00 90.00 120.00
Space group R-3c (No. 167, hexagonal axes)
Symmetry-distinct sites (fractional):
Ce (0.0000, 0.0000, 0.2500) [6 per cell]
Ce (0.0000, 0.3853, 0.2500) [18 per cell]
Sm (0.0000, 0.0000, 0.0000) [6 per cell]
Se (0.0290, 0.2058, 0.3836) [36 per cell]



For Ce2SmSe4, a structure optimized by DFT (PBE) gives the theoretical powder diffractogram in this record (copper Kα).
Kinematic intensities with the Lorentz-polarization factor, no thermal factor.

Most intense lines, 2θ from 10° to 90°, low angle first:
| (hkl) | 2θ (°) | intensity |
| --- | --- | --- |
| 1 0 1 | 13.0 | 26 |
| 2 2 0 | 30.0 | 100 |
| 0 0 4 | 30.4 | 48 |
| 0 4 0 | 42.8 | 19 |
| 4 0 0 | 43.3 | 91 |
| 0 4 4 | 53.4 | 20 |
| 4 0 4 | 53.8 | 19 |
| 4 4 0 | 62.4 | 12 |
| 6 2 0 | 71.1 | 25 |
| 2 2 8 | 71.6 | 16 |
| 2 6 4 | 78.7 | 12 |
| 6 2 4 | 79.3 | 12 |

Crystal structure
Lattice parameters (Å, degrees): 8.376 8.452 11.754 90.00 90.00 90.00
Space group Imma (No. 74)
Symmetry-distinct sites (fractional):
Ce (0.000, 0.000, 0.000) [4 per cell]
Ce (0.250, 0.250, 0.250) [4 per cell]
Sm (0.250, 0.250, 0.750) [4 per cell]
Se (0.000, 0.002, 0.745) [8 per cell]
Se (0.245, 0.250, 0.999) [8 per cell]



For CeSmTl2Se4, a structure optimized by DFT (PBE) gives the theoretical powder diffractogram in this record (copper Kα).
Kinematic intensities with the Lorentz-polarization factor, no thermal factor.

Most intense lines, 2θ from 10° to 90°, low angle first:
| (hkl) | 2θ (°) | intensity |
| --- | --- | --- |
| 0 0 2 | 23.0 | 9 |
| 2 0 0 | 25.0 | 19 |
| 1 1 1 | 28.4 | 100 |
| 2 0 2 | 39.3 | 37 |
| 0 2 0 | 41.9 | 36 |
| 1 1 3 | 46.0 | 6 |
| 3 1 1 | 48.3 | 8 |
| 2 2 -2 | 51.4 | 19 |
| 2 2 2 | 58.8 | 12 |
| 0 2 4 | 64.7 | 14 |
| 4 2 0 | 68.4 | 16 |
| 4 2 -4 | 74.8 | 11 |

Crystal structure
Lattice parameters (Å, degrees): 7.468 4.315 8.130 90.00 107.79 90.00
Space group P2/m (No. 10)
Symmetry-distinct sites (fractional):
Ce (0.000, 0.000, 0.000) [1 per cell]
Sm (0.500, 0.500, 0.000) [1 per cell]
Tl (0.000, 0.500, 0.500) [1 per cell]
Tl (0.500, 0.000, 0.500) [1 per cell]
Se (0.239, 0.500, 0.209) [2 per cell]
Se (0.267, 0.000, 0.792) [2 per cell]